The First Full Professor of Family Medicine Has Big Plans for Teaching and Research at NUS

With more than 30 years of experience in general practice and primary care research under her belt, the first full professor in the Division of Family Medicine – Professor Doris Young – has her mind set on improving the family medicine curriculum at NUS Medicine, in line with Singapore’s new focus on primary care.

Prof Young, who joined NUS Medicine in January 2017, plans to augment the small Family Medicine division by tapping on the expertise of practising family physicians to share their practical experiences through case discussions tutorials. In Prof Young’s opinion, the current curriculum is too hospital-centric and not ideal for the training of family doctors. She believes that having more family medicine or primary care-centric case discussions could help to fill this gap.

“What would be the family doctor’s role in managing diabetes better? What would be the family doctor’s role in managing depression? We should pursue it through the eyes of a family doctor, not through the eyes of a hospital specialist. Because if you have too many hospital specialists teaching our Family Medicine residents, they will focus on the diseases seen and managed in the hospitals, rather than those problems seen and managed by doctors working in the community. Family doctors need a different kind of skills. I want it (this set of skills) more embedded in the curriculum,” said Prof Young.

Patients in the community stem from different ethnic groups, backgrounds and economic status, and they may be dealing with other health problems apart from diabetes.

“As a family doctor, we need to look after this patient as a whole person. Instead of just biological, there is also the psychological aspect and social issues to deal with for having diabetes. As a good family doctor, we know this person over time. We know their stresses in life and the way they perceive and cope with illnesses,” she said.

Prof Young, who is also the Associate Dean for the China Programmes at the Faculty of Medicine, Dentistry and Health Sciences at University of Melbourne, believes that practitioners such as herself should go beyond imparting their practical knowledge to students and residents but also seek to inspire them as academic role models. She aims to share her career and life journey with the students in a bid to inspire them to take up academic family medicine as a career choice.

_Unrelated to this page: calculated molecules_
-- begin --
*P*
{
  "formula": "C6H5NO",
  "method": "ωB97M-V/def2-TZVPD",
  "smiles": "C#CC(=C)[C@@H](O)C#N",
  "lumo_energy_ha": -0.007,
  "homo_lumo_gap_ev": 9.017,
  "homo_ev": -9.20,
  "species": ["C", "C", "C", "C", "C", "O", "C", "N", "H", "H", "H", "H", "H"],
  "positions_angstrom": [[-1.64, 1.24, 1.59], [-0.65, 0.93, 0.92], [0.42, 0.27, 0.27], [1.60, 0.53, 1.05], [0.18, -0.70, -0.87], [-0.51, -1.74, -0.03], [-0.46, -0.34, -2.14], [-0.62, -0.31, -3.37], [-2.32, 1.70, 2.25], [1.71, 1.30, 2.00], [2.46, 0.21, 0.31], [1.09, -1.09, -1.07], [-1.25, -2.00, -0.88]]
}

***

*Q*
{
  "formula": "C6H5NO",
  "method": "ωB97M-V/def2-TZVPD",
  "smiles": "C#C[C@@]12C[C@@H]1C=NO2",
  "lumo_energy_ha": 0.023,
  "homo_lumo_gap_ev": 9.980,
  "homo_ev": -9.36,
  "species": ["C", "C", "C", "C", "C", "C", "N", "O", "H", "H", "H", "H", "H"],
  "positions_angstrom": [[3.17, -0.58, -0.09], [1.85, -0.26, -0.29], [0.32, -0.26, -0.12], [-0.17, 0.91, 0.88], [-0.90, 0.61, -0.48], [-2.04, -0.31, -0.30], [-1.58, -1.47, -0.01], [-0.27, -1.63, 0.48], [4.14, -0.88, -0.42], [-0.70, 0.79, 1.77], [0.43, 1.87, 0.61], [-1.13, 1.31, -1.38], [-3.12, -0.10, -0.64]]
}

***

*R*
{
  "formula": "C6H5NO",
  "method": "ωB97M-V/def2-TZVPD",
  "lumo_energy_ha": [-0.025, -0.025],
  "homo_lumo_gap_ev": [7.668, 7.666],
  "homo_ev": [-8.34, -8.34],
  "species": ["C", "C", "C", "C", "C", "N", "C", "O", "H", "H", "H", "H", "H"],
  "positions_angstrom": [[1.20, 0.29, 0.67], [-1.52, -0.76, -0.61], [0.48, -0.77, -0.19], [-1.96, 0.53, -0.27], [0.42, 1.53, 0.30], [0.92, -1.82, -0.67], [-0.80, 1.17, 0.00], [-1.89, -1.82, -0.94], [1.89, -2.05, -0.42], [1.12, 0.01, 1.73], [2.26, 0.37, 0.42], [-2.99, 0.83, -0.12], [0.86, 2.49, 0.10]]
}

***

Which of them is the most stable? Correct choice: *R*.

***

*P*
{
  "formula": "C6H5NO",
  "method": "ωB97M-V/def2-TZVPD",
  "smiles": "C#C[C@](O)(C#N)C=C",
  "lumo_energy_ha": 0.018,
  "homo_lumo_gap_ev": 10.962,
  "homo_ev": -10.48,
  "species": ["C", "C", "C", "O", "C", "N", "C", "C", "H", "H", "H", "H", "H"],
  "positions_angstrom": [[-1.95, -1.68, -0.37], [-1.11, -0.91, -0.03], [0.01, 0.00, 0.25], [0.46, -0.06, 1.57], [-0.54, 1.32, 0.00], [-1.16, 2.23, -0.38], [1.12, -0.20, -0.72], [2.45, -0.34, -0.50], [-2.57, -2.46, -0.76], [0.47, -0.99, 1.83], [0.68, -0.10, -1.82], [2.98, -0.25, 0.49], [3.04, -0.58, -1.40]]
}

***

*Q*
{
  "formula": "C6H5NO",
  "method": "ωB97M-V/def2-TZVPD",
  "smiles": "C#C[C@@](C)(C#N)C=O",
  "lumo_energy_ha": 0.007,
  "homo_lumo_gap_ev": 10.730,
  "homo_ev": -10.54,
  "species": ["C", "C", "C", "C", "C", "N", "C", "O", "H", "H", "H", "H", "H"],
  "positions_angstrom": [[2.35, -0.71, -0.47], [1.23, -0.21, -0.44], [-0.15, 0.21, -0.11], [-0.51, 0.10, 1.39], [-0.24, 1.57, -0.49], [-0.38, 2.67, -0.74], [-1.03, -0.68, -1.08], [-2.03, -1.20, -0.59], [3.32, -1.28, -0.51], [0.03, 1.05, 1.95], [-0.20, -0.89, 1.81], [-1.65, 0.13, 1.48], [-0.75, -0.76, -2.20]]
}

***

Which of them is the most stable? Correct choice: *Q*.

***

*P*
{
  "formula": "CH5NOS2",
-- stop --

“The young doctors here need to see a role model, to see this is what a Professor of Family Medicine looks like — the teaching and research skills needed and the career paths taken to achieve that. Hopefully I could instill that passion in the next generation. And I would need to engage the whole Family Medicine community to work together,” she said.

Another area Prof Young wants to focus her energy on is birthing a new research culture on topical general practice-related research that the country needs. Prof Young, who was responsible for strengthening Australia and Hong Kong’s primary care research, believes that more research in family medicine would greatly complement Singapore’s family medicine’s academic standing.

“I want to call on all the family doctors here, those working in the polyclinics, Family Medicine Centres (FMC), private practices to form a primary care research network and say to them, let us all unite with nurses and allied health and build a research culture in family medicine in the primary care setting. We can do it. Research is not all just about dealing with animals, DNA, or laboratory-based research, there is good research that can be done in Family Medicine and primary care,” Prof Young said.

To build a research culture centred in family medicine, Prof Young said NUS Family Medicine should collaborate with established researchers from other Schools, such as

the Saw Swee Hock School of Public Health; specialists such as endocrinologists, psychiatrists and psychologists, and help to translate and implement their research into the wider community.

Prof Young’s work does not just end in Singapore, she aims to link the local researchers with her global contacts to further research. She said more international collaborative research in the areas of chronic diseases, multi-morbidities, aged care, mental health and the global problem of antibiotics resistance would benefit Singapore.

“I (plan) to instill a research culture amongst the existing staff here, the medical students, residents, and the general practitioners out there. A lot of them are already doing good research work in their polyclinics. I want to link them up with the team here, and with my colleagues at the University of Melbourne, and internationally with other family medicine researchers, so that the younger doctors may follow,” she said.

Having worked as a general practitioner in countries with strong primary care systems such as Australia and the United Kingdom, Prof Young believes Singapore still has a bit to catch up on in terms of strengthening its primary care sector and changing public perception of family physicians. The family doctor-patient relationship and trust appears to be weaker in Singapore than abroad.

“An efficient healthcare system usually has a very strong primary care system. The respect from the public is very important, that every person or family should have a family doctor. In Australia, 90% of the people have a general practitioner. In the UK, it is 100%. In Singapore, many people head to the hospitals when they are ill. There isn’t enough of a one-to-one (family doctor-patient) relationship here yet,” Prof Young said.

Easing the unnecessary burden on Singapore hospitals and inculcating a “cradle-to-grave” mindset among the healthcare users would require government campaigns and media support.

“I think it would work through a multi-pronged approach, through the media to stress the importance of having a family doctor… and to strengthen the Division of Family Medicine by giving it appropriate resources, working with current practising family doctors, and bringing them together to share a common vision of family medicine in Singapore. Hopefully, the leadership here in NUS Medicine would show by example by building a strong academic department of Family Medicine,” said Prof Young.

Family doctors and patients would also need to do their part. Doctors should upskill to maintain or regain public trust in their skillsets and expertise, Prof Young said. The public would need to trust their family doctors to diagnose and manage their problems.

Despite these challenges, Prof Young pointed out that Singapore has begun to place more emphasis on strengthening its primary care system.

“The timing is right. There is the primary care movement supported by the ministry; there is recognition of family medicine as an academic discipline. There is a lot of curriculum time now in NUS Medicine and the Lee Kong Chian School of Medicine, and we just need to enhance it.”

During her time at NUS Medicine, Prof Young hopes to be able to establish a self-sustaining ecosystem for the Family Medicine Division.

“I hope to share my passion and enthusiasm for academic family medicine, and instill that in some of the young medical students and residents, so that I can leave behind and make some impact on the academic discipline of family medicine in Singapore, which will be sustainable for others to make their own mark on the future of the discipline.”